This web site is a memorial to those individuals who were passionate about the reform of the
Roman Catholic liturgy as set forth in Sacrosanctum Concilium (the Constitution on the Sacred Liturgy)
and who now, in eternal life, worship the God whom they served in this life.

Franz and Terese Mueller

Franz and Terese Mueller

Life in the Catholic Youth Movements of Germany in the 1920’s and early 1930’s stimulated intellectual, liturgical, social, and spiritual growth. In that world, Franz and Therese Mueller, with fresh doctorates in economics and sociology from the University of Cologne, gave birth to their first three children, daughters Mechthild, Hildegard, and Gertrud. These gifted parents laid a solid foundation for their family on the rocks of the domestic church, the parish church, the universal church, human society at large, the whole created world and the reign of God. But exuberance turned to struggle. In the mid-1930’s, they made a Nazi-enforced move from Germany to St. Louis, Missouri, where Franz became professor of sociology at St. Louis University.

Embracing Their New World
Helping give birth to a liturgical movement in the United States proved a prolonged task. Gone were the open and invigorating student social movements. Far away were the theological and liturgical giants: Guardini, Herwegen, Parsch, and Casel. But familiar values and resonances of a possible church rushed in from new giants (Huelsmann, Hellriegel, Reinhold, Ellard, Day, Maurin, Bethune, Vitry, Michel, and Diekmann) and new places (Holy Family parish and school, St. Louis, staffed by the liturgically aware sisters of the Most Precious Blood from nearby O’Fallon).

During the Muellers’ first St. Louis years, it was the local Catholic Worker people who “made us feel that we had something to give.” Later, Dorothy Day and Peter Maurin were houseguests of the Muellers whenever their paths crossed. One of the things Therese Mueller came “to give” was the baptismal garment. For even in these early years in the United States, through lectures, articles, and examples, she worked to bring the baptismal garment to the American church.

In mid-November 1938, William Huelsmann, pastor of Holy Family, invited Franz, Therese, and their daughters to meet Virgil Michel. Michel’s Orate Fratres and other liturgical, educational, philosophical, and social projects needed no introduction for Franz and Therese. Michel told Therese that the Orate Fratres staff in Collegeville considered her writings a real “find.” When Michel hurried off to board a train, the family quickly knelt down on the sidewalk for his blessing. A few days later, Michel died. With their newborn son Reinhold, the Muellers moved to Minnesota not long after.

Franz Mueller took a position in the department of economics at the College of St. Thomas in St. Paul. He taught, wrote and published, served for two decades as a chairperson and gave generous leadership for almost 30 years. Mueller’s articles, monographs, pamphlets, and letters to the editors cover topics such as the future of the local church, the parish in an industrial society, a comparison of the social philosophies of individualism and socialism, the principle of subsidiarity, married saints, the theological use of sociology, liturgy and sociology, person and society according to Thomas Aquinas, beauty and sentimentality in Christian art and the social teachings of Vatican II.

The six Muellers increased to seven in St. Paul when son Francis was born. Each daughter attended the school for liturgy and spirituality run by the Ladies of the Grail, Loveland, Ohio, and each daughter lectures on liturgy and the home. Mechthild Ellis designs and crafts liturgical vestments. Hildegard Kerney is a member of her diocesan liturgical commission and works with Hospice. Gertrud Mueller Nelson lectures on education, art, and Jungian psychology. She has published liturgical clip-art volumes and the book, To Dance with God: Family Ritual and Community Celebration. Reinhold teaches history at the University of Venice, Italy, and Francis practices family medicine and serves as a medical director for Hospice.

The Fullness of Catholic Life
When the children were young, despite a long-standing commitment not to become a two-income family, requests for Therese’s insights and words on liturgy and family came from all sides. Godfrey Diekmann asked her for many articles for Orate Fratres/Worship for more than two decades. Church bulletins sought her recipes related to religious customs, patters for baptismal garments, words and ideas. Both the College of St. Catherine and the College of St. Thomas employed her for part-time teaching. Parishioners of the Church of the Nativity, the Muellers’ home parish in the St. Paul years, know her as a Eucharistic minister, resource person on Christian home life, dedicated friend and faithful community builder. She served for several years on the archdiocesan speaker’s bureau, giving presentations on the liturgical seasons. Since the early 1970s, Therese has served as a staff member of the archdiocesan ministry for engaged couples. She is known as a kind and wise teacher of young people preparing for marriage.

Attached: records of crystals:
┌──
This entry pairs a crystal structure of Pr3MnGaS7 with its simulated powder XRD pattern. Radiation: Cu Kα X-rays. Structure: a structure optimized by DFT (PBE).

Principal peaks in the range 10° ≤ 2θ ≤ 90°, sorted by position:
| (hkl) | 2θ (°) | Rel. int. |
| --- | --- | --- |
| 1 0 1 | 17.75 | 22 |
| 1 1 1 | 22.83 | 28 |
| 2 0 1 | 25.00 | 100 |
| 2 1 0 | 26.81 | 30 |
| 3 0 1 | 33.95 | 34 |
| 2 2 0 | 35.34 | 36 |
| 2 0 2 | 35.95 | 41 |
| 1 3 1 | 39.82 | 31 |
| 2 1 2 | 40.23 | 28 |
| 4 1 1 | 49.82 | 24 |

Atomic structure:
Unit cell a=10.1590 b=10.1590 c=6.0697 alpha=90.00 beta=90.00 gamma=120.00
Sites, in units of the cell vectors:
Pr 0.1402 0.7656 0.0000
Pr 0.2344 0.3747 0.0000
Pr 0.3747 0.1402 0.5000
Pr 0.6253 0.8598 0.0000
Pr 0.7656 0.6253 0.5000
Pr 0.8598 0.2344 0.5000
Mn 0.0000 0.0000 0.2252
Mn 0.0000 0.0000 0.7252
Ga 0.3333 0.6667 0.5783
Ga 0.6667 0.3333 0.0783
S 0.0895 0.8526 0.4656
S 0.0973 0.5168 0.7310
S 0.1474 0.2369 0.4656
S 0.2369 0.0895 0.9656
└──

In 1941, Therese delivered a paper, “The Christian Family and the Liturgy,” at the second National Liturgical Week. After the paper, a respondent said: “We are thankful to Mrs. Mueller for her estimation of the sacramental dignity and the mystical beauty of the Christian family.”

Therese has authored three books: Family Life in Christ, Our Children’s Year of Grace, and The Christian Home and Art. Forty-plus years ago, in The Christian Home and Art (Kansas City MO: designs for Christian Living, 1950), she did more than lament the secularization of Christmas, she met it head-on. In her books, talks, classes, and articles, Therese Mueller brought the Advent wreath to the American home.

She introduced families to the Exsultet of the great paschal Vigil: “One Exsultet 20 years ago in my home parish has never been excelled. To me it was the very ‘discovery’ of this great hymn; and this experience rings through each Exsultet I have heard since—and perhaps if God wills, through the one I want to pray at my life’s end.”

She acquainted people with customs appropriate to Sunday observances, including dress, decorum, and dinner. She opened families to the domestic meaning of the feasts and the seasons of the church year (the incarnational focus of exchanging gifts at Christmas, for example, the “most admirable exchange”). She offered ideas to celebrate more actively the sacramental life (the yearly anniversary letter from baptismal and confirmational godparents to their goddaughters and godsons, for example). She endorsed a healthy veneration of saints (including a “saint-of-the-month study club at home”).

Therese mirrors the empathic power of a woman, a wife, a mother. She witnesses the careful naïveté and encompassing creativity of a Christian for whom distance between faith and practice vanishes. She never loses the critical eye of a behavioral scientist: Recalling a rural vacation of her childhood on which she participated with delight in the custom of finding 40 species of wild herbs and flowers for a special blessing on the Feast of the Assumption, she asks, “Are we of the city too proud to admit our poverty?” Rural or urban, the domestic church remains the center of gravity for Therese.

The roster of leaders in the liturgical movement in the United States has too few laypersons and almost no married persons and parents. Franz and Therese Mueller, by word and example, brought all they could to the movement and in doing so gave it an essential dimension.

Tribute reprinted from How Firm a Foundation: Leaders of the Liturgical Movement Franz and Terese Mueller by James A. Wilde © 1990 Archdiocese of Chicago: Liturgy Training Publications. 1-800-933-1800. All rights reserved. Used with permission.